At this time of year we can enjoy one of nature’s miracles every morning: the finest sopranos, tenors and baritones warming up their voices for the greatest concert on earth - the dawn chorus.

~~~
Material: Cr2BiO
Method: DFT, PBE with a Hubbard U
State: relaxed

```
Cr2BiO
1.0
6.546 0.000 0.000
0.000 6.546 0.000
0.000 0.000 7.799
Cr Bi O
8 4 4
direct
0.078 0.750 0.125
0.250 0.078 0.875
0.250 0.422 0.375
0.422 0.750 0.625
0.578 0.250 0.625
0.750 0.578 0.375
0.750 0.922 0.875
0.922 0.250 0.125
0.000 0.000 0.500
0.000 0.500 0.750
0.500 0.000 0.250
0.500 0.500 0.000
0.000 0.000 0.000
0.000 0.500 0.250
0.500 0.000 0.750
~~~
**End of the data records:**

Here’s the ‘who’s who’ in the choir so you can learn to identify the singers which make their homes on your patch!

Act one: robins and dunnocks

Act two: blackbirds, song thrushes and skylarks

Act three: chiffchaff, chaffinch, wood pigeon, and collared dove

Act four: blue tits, long tailed tit, great tit, goldcrest and tree sparrows

Dunnock: Credit John Bridges (

Dunnocks and robins are among the earliest to warm up: to hear the first act you’ll need to be in the stalls early as they start to sing about an hour before sunrise.

Blackbirds and song thrushes come hot their heels, probably because the ground is wetter in the morning so worms are more active and the ground is softer.

Finally, contributing to the crescendo, wrens, tits and warblers come in, with the tiny call of the goldcrest on the stage too. These later arrivals to the choral scene eat insects and are perhaps more sensitive to the coldness of dawn.

<<<
(1)
Density functional theory data (PBE) for crystalline Pu3Si7Mo at its relaxed geometry.

Values from the calculation:
The value obtained for the uncorrected formation energy is -0.35 eV/atom. The density of states at the Fermi level comes out at 2.02 states/eV/atom. The value obtained for the density is 8.544 g/cm3.

abc: 9.5012 9.5012 11.2333
angles: 90.00 90.00 156.88
With the nearest neighbours (Å) after each atom.
Positions (direct):
Pu  0.1085  0.8915  0.5470  11 Si 2.90-3.21
Pu  0.1085  0.8915  0.9530  11 Si 2.90-3.21
Pu  0.2425  0.7575  0.2500  9 Si 2.98-3.10
Pu  0.7575  0.2425  0.7500  9 Si 2.98-3.10
Pu  0.8915  0.1085  0.0470  11 Si 2.90-3.21
Pu  0.8915  0.1085  0.4530  11 Si 2.90-3.21
Si  0.2687  0.7313  0.5469  3 Si 2.27-2.28
Si  0.2687  0.7313  0.9531  3 Si 2.27-2.28
Si  0.3737  0.6263  0.6488  3 Si 2.27-2.33
Si  0.3737  0.6263  0.8512  3 Si 2.27-2.33
Si  0.4052  0.5948  0.2500  2 Si 2.46
Si  0.4963  0.5037  0.6045  3 Si 2.33-2.46
Si  0.4963  0.5037  0.8955  3 Si 2.33-2.46
Si  0.5037  0.4963  0.1045  3 Si 2.33-2.46
Si  0.5037  0.4963  0.3955  3 Si 2.33-2.46
Si  0.5948  0.4052  0.7500  2 Si 2.46
Si  0.6263  0.3737  0.1488  3 Si 2.27-2.33
Si  0.6263  0.3737  0.3512  3 Si 2.27-2.33
Si  0.7313  0.2687  0.0469  3 Si 2.27-2.28
Si  0.7313  0.2687  0.4531  3 Si 2.27-2.28
Mo  0.0435  0.9565  0.2500  8 Si 2.62-2.70
Mo  0.9565  0.0435  0.7500  8 Si 2.62-2.70



(2)
Density functional theory data (PBE) for crystalline PuSi2TcMo at its relaxed geometry.

Values from the calculation:
The value obtained for the uncorrected formation energy is -0.40 eV/atom. The density of states at the Fermi level comes out at 2.21 states/eV/atom. The value obtained for the density is 9.494 g/cm3.

abc: 3.9645 3.9645 10.9973
angles: 90.00 90.00 90.00
With the nearest neighbours (Å) after each atom.
Positions (direct):
Pu  0.0000  0.0000  0.0000  8 Si 3.05, 4 Mo 3.39, 4 Tc 3.39
Pu  0.5000  0.5000  0.5000  8 Si 3.05, 4 Mo 3.39, 4 Tc 3.39
Si  0.0000  0.0000  0.3905  1 Si 2.41, 2 Mo 2.51, 2 Tc 2.51
Si  0.0000  0.0000  0.6095  1 Si 2.41, 2 Mo 2.51, 2 Tc 2.51
Si  0.5000  0.5000  0.1095  1 Si 2.41, 2 Mo 2.51, 2 Tc 2.51
Si  0.5000  0.5000  0.8905  1 Si 2.41, 2 Mo 2.51, 2 Tc 2.51
Tc  0.0000  0.5000  0.7500  4 Si 2.51, 4 Mo 2.80
Tc  0.5000  0.0000  0.2500  4 Si 2.51, 4 Mo 2.80
Mo  0.0000  0.5000  0.2500  4 Si 2.51, 4 Tc 2.80
Mo  0.5000  0.0000  0.7500  4 Si 2.51, 4 Tc 2.80



(3)
Density functional theory data (PBE) for crystalline Pu2SnMo at its relaxed geometry.

Values from the calculation:
The density of states at the Fermi level comes out at 2.13 states/eV/atom. The value obtained for the density is 13.389 g/cm3. The value obtained for the total energy is -43.5 eV for the cell shown.

abc: 4.3774 4.3774 4.5480
angles: 90.00 90.00 90.00
With the nearest neighbours (Å) after each atom.
Positions (direct):
Pu  0.0000  0.5000  0.0000  4 Pu 3.10, 4 Mo 3.16, 4 Sn 3.16
Pu  0.5000  0.0000  0.0000  4 Pu 3.10, 4 Mo 3.16, 4 Sn 3.16
>>>
End of the calculated crystals:

Goldcrest: Credit Tim Ryan

Unbeknown to many there is also an evening performance, with a chorus at dusk, but it’s much quieter, and it’s easier to hear birds like blue tits and tree sparrows. They sing in the morning too, but we are less likely to notice them among the cacophony!

The dawn chorus may sound like a frantic shouting match with the most beautiful voices but actually the singers know exactly when their slot is and if you listen regularly you will start to recognise certain species habitually starting before others.

If you don’t know what those species are now it’s your chance to learn even just a couple of them – it’s still the most melodic, clever, natural piece of audio entertainment you’ll hear and best of all, it happens every day!

The louder your dawn chorus the more proud you can be of your efforts to give nature a home too. If you’re providing food, water and shelter, it is bound to make their voices as strong as possible!

Next to the article, the page also holds crystal structures
<<<
Entry 1:
This record from the Alexandria database describes crystalline Sr2Co2Ru at its relaxed geometry. The functional is PBE.

## Properties
Energy of formation, meV per atom: 442.8
N(E_F), states/eV/cell: 7.4

The structure in extended XYZ format:
```
10
Lattice="-5.120 3.977 0.281 0.055 -0.387 6.477 2.998 3.845 0.204" Properties=species:S:1:pos:R:3 pbc="T T T"
Ru 0.000 0.000 0.000
Ru -2.533 1.795 3.379
Co -1.877 1.156 5.779
Co -4.451 3.242 4.288
Co -3.188 2.434 0.978
Co -0.614 0.348 2.470
Sr 0.586 2.396 4.595
Sr -1.967 4.334 5.569
Sr -2.653 5.040 2.367
Sr -0.100 3.101 1.393
```



Entry 2:
This record from the Alexandria database describes crystalline SrCo2Ru at its relaxed geometry. The functional is PBE.

## Properties
Energy of formation, meV per atom: 566.2
E above lowest polymorph, eV per atom: 0.3505
N(E_F), states/eV/cell: 4.4

The structure in extended XYZ format:
```
4
Lattice="-2.265 -3.034 -0.851 1.920 -0.632 -2.859 4.370 -3.718 1.624" Properties=species:S:1:pos:R:3 pbc="T T T"
Co 0.616 -0.374 -0.305
Co 0.176 -2.580 -0.118
Ru 2.555 -1.667 -0.861
Sr 3.822 -4.938 -1.419
```



Entry 3:
This record from the Alexandria database describes crystalline SrCo3Ru at its relaxed geometry. The functional is PBE.

## Properties
Energy of formation, meV per atom: 2444.9
E above lowest polymorph, eV per atom: 1.6303
N(E_F), states/eV/cell: 12.4

The structure in extended XYZ format:
```
5
Lattice="-2.750 3.274 -1.531 -3.614 -2.466 1.219 0.047 1.956 4.098" Properties=species:S:1:pos:R:3 pbc="T T T"
Ru -3.158 1.382 1.893
Co -1.807 -1.233 0.610
Co 0.024 0.978 2.049
Co -1.375 1.637 -0.765
Sr 0.000 0.000 0.000
```



Entry 4:
This record from the Alexandria database describes crystalline SrCo2Ru at its relaxed geometry. The functional is PBE.

## Properties
Energy of formation, meV per atom: 680.4
E above lowest polymorph, eV per atom: 0.4647
N(E_F), states/eV/cell: 4.3

The structure in extended XYZ format:
```
4
Lattice="5.508 0.006 0.000 2.568 4.872 0.000 -3.348 -3.581 2.510" Properties=species:S:1:pos:R:3 pbc="T T T"
Co 0.348 0.210 0.000
Co 1.572 1.831 1.255
Ru 3.720 2.247 0.000
Sr 3.125 -0.553 1.255
```
>>>
The crystal structures stop here

Birds sing so loudly at dawn because it’s not a good time to go foraging for food so they focus their efforts at the start of the day on trying to attract a mate instead, it is also a good time to hold a territory. With less background noise early on, their song can carry up to twenty times as far.

Singing is hard work, so it is usually the fittest, best fed males who sing the loudest. In many cases, once a female has been serenaded the male will sing less often as his work is done.

We can all provide a place for wildlife in your own garden and hear birds singing close up. To find out how you can give nature a home where you live visit:

Our nature reserves are also great places to visit to hear the birds welcome the new day. Head to our reserve pages to find a haven for nature near you -